Please restate the whole of the data further below verbatim.
'''
VASP calculation (PBE) on a relaxed structure of CsTl2CdBi.

Results
The symmetry is P4/mmm (123). For the electronic total energy, the calculation gives -2.030 eV/atom. As for the crystal system: tetragonal. Its energy above the most stable polymorph in this dataset is 0.182 eV per atom. The value obtained for the density of states at the Fermi level is 0.611 states/eV/atom. The formation energy from the elements is 0.05 eV per atom.

Cell lengths 5.9492, 5.9492, 5.9309 Å; angles 90.00, 90.00, 90.00 degrees
With the nearest neighbours (Å) after each atom.
Fractional positions:
Cs1 0.0000 0.0000 0.0000  8 Tl 4.20, 4 Bi 4.21
Tl1 0.0000 0.5000 0.5000  2 Cd 2.97
Tl2 0.5000 0.0000 0.5000  2 Cd 2.97
Cd1 0.5000 0.5000 0.5000  2 Bi 2.97, 4 Tl 2.97
Bi1 0.5000 0.5000 0.0000  2 Cd 2.97

=====

VASP calculation (PBE) on a relaxed structure of Cs2Tl3Cd4Bi.

Results
The symmetry is P-4m2 (115). For the electronic total energy, the calculation gives -1.722 eV/atom. As for the crystal system: tetragonal. The value obtained for the density of states at the Fermi level is 0.681 states/eV/atom. The formation energy from the elements is -0.09 eV per atom.

Cell lengths 5.2590, 5.2590, 12.9622 Å; angles 90.00, 90.00, 90.00 degrees
With the nearest neighbours (Å) after each atom.
Fractional positions:
Cs1 0.0000 0.5000 0.2480  8 Cd 4.02-4.15, 6 Tl 4.05-4.19, 2 Bi 4.19
Cs2 0.5000 0.0000 0.7520  8 Cd 4.02-4.15, 6 Tl 4.05-4.19, 2 Bi 4.19
Tl1 0.0000 0.5000 0.8763  5 Cd 3.08-3.13
Tl2 0.5000 0.0000 0.1237  5 Cd 3.08-3.13
Tl3 0.5000 0.5000 0.5000  4 Cd 3.16
Cd1 0.0000 0.0000 0.0000  4 Tl 3.08
Cd2 0.0000 0.5000 0.6350  3 Tl 3.13-3.16, 2 Bi 3.16
Cd3 0.5000 0.0000 0.3650  3 Tl 3.13-3.16, 2 Bi 3.16
Cd4 0.5000 0.5000 0.0000  4 Tl 3.08
Bi1 0.0000 0.0000 0.5000  4 Cd 3.16

=====

VASP calculation (PBE) on a relaxed structure of CsZnCd2Bi.

Results
The symmetry is P4/mmm (123). For the electronic total energy, the calculation gives -1.508 eV/atom. As for the crystal system: tetragonal. The value obtained for the density of states at the Fermi level is 0.452 states/eV/atom. The formation energy from the elements is 0.06 eV per atom.

Cell lengths 5.5075, 5.5075, 5.6344 Å; angles 90.00, 90.00, 90.00 degrees
With the nearest neighbours (Å) after each atom.
Fractional positions:
Cs1 0.0000 0.0000 0.0000  4 Bi 3.89, 8 Cd 3.94
Zn1 0.5000 0.5000 0.5000  4 Cd 2.75, 2 Bi 2.82
Cd1 0.0000 0.5000 0.5000  2 Zn 2.75
Cd2 0.5000 0.0000 0.5000  2 Zn 2.75
Bi1 0.5000 0.5000 0.0000  2 Zn 2.82

=====

VASP calculation (PBE) on a relaxed structure of Cs2ZnCdBi2.

Results
The symmetry is Ibam (72). For the electronic total energy, the calculation gives -2.232 eV/atom. As for the crystal system: orthorhombic. The value obtained for the density of states at the Fermi level is 0.209 states/eV/atom. The formation energy from the elements is -0.29 eV per atom.

Cell lengths 10.4170, 10.4170, 10.4170 Å; angles 139.64, 58.31, 139.76 degrees
With the nearest neighbours (Å) after each atom.
Fractional positions:
Cs1 0.1667 0.2431 0.4098  4 Bi 3.79-3.93, 2 Cd 3.93, 2 Zn 3.98
Cs2 0.3333 0.7431 0.0763  4 Bi 3.79-3.93, 2 Cd 3.93, 2 Zn 3.98
Cs3 0.6667 0.2569 0.9237  4 Bi 3.79-3.93, 2 Cd 3.93, 2 Zn 3.98
Cs4 0.8333 0.7569 0.5902  4 Bi 3.79-3.93, 2 Cd 3.93, 2 Zn 3.98
Zn1 0.2500 0.7500 0.5000  4 Bi 2.94
Zn2 0.7500 0.2500 0.5000  4 Bi 2.94
Cd1 0.2500 0.2500 0.0000  4 Bi 3.10
Cd2 0.7500 0.7500 0.0000  4 Bi 3.10
Bi1 0.0898 0.7324 0.8222  2 Zn 2.94, 2 Cd 3.10
Bi2 0.4102 0.2324 0.6426  2 Zn 2.94, 2 Cd 3.10
Bi3 0.5898 0.7676 0.3574  2 Zn 2.94, 2 Cd 3.10
Bi4 0.9102 0.2676 0.1778  2 Zn 2.94, 2 Cd 3.10

* * * * *

Pm3MgGe3 | the Alexandria database | PBE-GGA | optimized geometry; energy relative to the elements = -0.52 eV per atom; magnetization = 0.00 μB/cell
1.0
-4.8753 -2.1739 5.0518
6.7678 -2.4165 1.5401
1.3123 6.1538 3.9257
Pm Mg Ge
6 2 6
Direct
0.6241 0.6241 0.3429
0.1639 0.8361 0.5000
0.8361 0.1639 0.5000
0.2273 0.7727 0.0000
0.7727 0.2273 0.0000
0.3759 0.3759 0.6571
0.7291 0.7291 0.9059
'''
VASP calculation (PBE) on a relaxed structure of CsTl2CdBi.

Results
The symmetry is P4/mmm (123). For the electronic total energy, the calculation gives -2.030 eV/atom. As for the crystal system: tetragonal. Its energy above the most stable polymorph in this dataset is 0.182 eV per atom. The value obtained for the density of states at the Fermi level is 0.611 states/eV/atom. The formation energy from the elements is 0.05 eV per atom.

Cell lengths 5.9492, 5.9492, 5.9309 Å; angles 90.00, 90.00, 90.00 degrees
With the nearest neighbours (Å) after each atom.
Fractional positions:
Cs1 0.0000 0.0000 0.0000  8 Tl 4.20, 4 Bi 4.21
Tl1 0.0000 0.5000 0.5000  2 Cd 2.97
Tl2 0.5000 0.0000 0.5000  2 Cd 2.97
Cd1 0.5000 0.5000 0.5000  2 Bi 2.97, 4 Tl 2.97
Bi1 0.5000 0.5000 0.0000  2 Cd 2.97

=====

VASP calculation (PBE) on a relaxed structure of Cs2Tl3Cd4Bi.

Results
The symmetry is P-4m2 (115). For the electronic total energy, the calculation gives -1.722 eV/atom. As for the crystal system: tetragonal. The value obtained for the density of states at the Fermi level is 0.681 states/eV/atom. The formation energy from the elements is -0.09 eV per atom.

Cell lengths 5.2590, 5.2590, 12.9622 Å; angles 90.00, 90.00, 90.00 degrees
With the nearest neighbours (Å) after each atom.
Fractional positions:
Cs1 0.0000 0.5000 0.2480  8 Cd 4.02-4.15, 6 Tl 4.05-4.19, 2 Bi 4.19
Cs2 0.5000 0.0000 0.7520  8 Cd 4.02-4.15, 6 Tl 4.05-4.19, 2 Bi 4.19
Tl1 0.0000 0.5000 0.8763  5 Cd 3.08-3.13
Tl2 0.5000 0.0000 0.1237  5 Cd 3.08-3.13
Tl3 0.5000 0.5000 0.5000  4 Cd 3.16
Cd1 0.0000 0.0000 0.0000  4 Tl 3.08
Cd2 0.0000 0.5000 0.6350  3 Tl 3.13-3.16, 2 Bi 3.16
Cd3 0.5000 0.0000 0.3650  3 Tl 3.13-3.16, 2 Bi 3.16
Cd4 0.5000 0.5000 0.0000  4 Tl 3.08
Bi1 0.0000 0.0000 0.5000  4 Cd 3.16

=====

VASP calculation (PBE) on a relaxed structure of CsZnCd2Bi.

Results
The symmetry is P4/mmm (123). For the electronic total energy, the calculation gives -1.508 eV/atom. As for the crystal system: tetragonal. The value obtained for the density of states at the Fermi level is 0.452 states/eV/atom. The formation energy from the elements is 0.06 eV per atom.

Cell lengths 5.5075, 5.5075, 5.6344 Å; angles 90.00, 90.00, 90.00 degrees
With the nearest neighbours (Å) after each atom.
Fractional positions:
Cs1 0.0000 0.0000 0.0000  4 Bi 3.89, 8 Cd 3.94
Zn1 0.5000 0.5000 0.5000  4 Cd 2.75, 2 Bi 2.82
Cd1 0.0000 0.5000 0.5000  2 Zn 2.75
Cd2 0.5000 0.0000 0.5000  2 Zn 2.75
Bi1 0.5000 0.5000 0.0000  2 Zn 2.82

=====

VASP calculation (PBE) on a relaxed structure of Cs2ZnCdBi2.

Results
The symmetry is Ibam (72). For the electronic total energy, the calculation gives -2.232 eV/atom. As for the crystal system: orthorhombic. The value obtained for the density of states at the Fermi level is 0.209 states/eV/atom. The formation energy from the elements is -0.29 eV per atom.

Cell lengths 10.4170, 10.4170, 10.4170 Å; angles 139.64, 58.31, 139.76 degrees
With the nearest neighbours (Å) after each atom.
Fractional positions:
Cs1 0.1667 0.2431 0.4098  4 Bi 3.79-3.93, 2 Cd 3.93, 2 Zn 3.98
Cs2 0.3333 0.7431 0.0763  4 Bi 3.79-3.93, 2 Cd 3.93, 2 Zn 3.98
Cs3 0.6667 0.2569 0.9237  4 Bi 3.79-3.93, 2 Cd 3.93, 2 Zn 3.98
Cs4 0.8333 0.7569 0.5902  4 Bi 3.79-3.93, 2 Cd 3.93, 2 Zn 3.98
Zn1 0.2500 0.7500 0.5000  4 Bi 2.94
Zn2 0.7500 0.2500 0.5000  4 Bi 2.94
Cd1 0.2500 0.2500 0.0000  4 Bi 3.10
Cd2 0.7500 0.7500 0.0000  4 Bi 3.10
Bi1 0.0898 0.7324 0.8222  2 Zn 2.94, 2 Cd 3.10
Bi2 0.4102 0.2324 0.6426  2 Zn 2.94, 2 Cd 3.10
Bi3 0.5898 0.7676 0.3574  2 Zn 2.94, 2 Cd 3.10
Bi4 0.9102 0.2676 0.1778  2 Zn 2.94, 2 Cd 3.10

* * * * *

Pm3MgGe3 | the Alexandria database | PBE-GGA | optimized geometry; energy relative to the elements = -0.52 eV per atom; magnetization = 0.00 μB/cell
1.0
-4.8753 -2.1739 5.0518
6.7678 -2.4165 1.5401
1.3123 6.1538 3.9257
Pm Mg Ge
6 2 6
Direct
0.6241 0.6241 0.3429
0.1639 0.8361 0.5000
0.8361 0.1639 0.5000
0.2273 0.7727 0.0000
0.7727 0.2273 0.0000
0.3759 0.3759 0.6571
0.7291 0.7291 0.9059